_Assignment_
Now echo the whole of the listing further below unchanged.
_Contents_
- - -
LiFePO4: theoretical XRD peak list (Cu Ka), based on a DFT-relaxed cell (GGA+U, the Materials Project).

Largest 10 diffraction maxima, in order of rising 2θ, 2θ from 10° to 90°:
(hkl)  2θ/deg  d_spacing  I (rel.)
2 0 0  16.98  5.222  33
1 0 1  20.55  4.321  60
1 1 1  25.28  3.523  91
0 2 0  29.33  3.045  77
3 0 1  31.88  2.807  30
3 1 1  35.20  2.549  100
1 2 1  36.08  2.489  30
4 1 0  37.48  2.400  22
2 2 2  51.89  1.762  36
3 3 1  55.89  1.645  24

Crystal structure
```
data_LiFePO4
_chemical_formula_sum 'Li4 Fe4 P4 O16'
_cell_length_a 10.4437
_cell_length_b 6.0902
_cell_length_c 4.7464
_cell_angle_alpha 90.00
_cell_angle_beta 90.00
_cell_angle_gamma 90.00
_symmetry_space_group_name_H-M 'P n m a'
_symmetry_Int_Tables_number 62
_symmetry_space_group_name_Hall '-P 2ac 2n'
loop_
_atom_site_label
_atom_site_type_symbol
_atom_site_fract_x
_atom_site_fract_y
_atom_site_fract_z
_atom_site_occupancy
Li1 Li 0.0000 0.0000 0.0000 1
Fe1 Fe 0.2180 0.2500 0.4752 1
P1 P 0.0948 0.7500 0.4178 1
O1 O 0.0429 0.2500 0.7069 1
O2 O 0.0967 0.7500 0.7419 1
O3 O 0.1655 0.5470 0.2845 1
```


# 1
For PmTl2GeS4, DFT lattice parameters and positions (PBE) gives the simulated XRD peak list in this record (Cu Kα, 1.54184 Å).
Lines closer than 0.1° are merged.

The 10 most intense peaks (2θ = 5–70°), low angle first:
2θ/deg, d/Å, intensity, h k l
24.07, 3.698, 43, 0 0 2
26.79, 3.328, 30, 2 0 0
27.02, 3.300, 58, 1 1 -1
30.25, 2.954, 50, 2 0 -2
30.48, 2.933, 100, 1 1 1
41.61, 2.170, 19, 2 0 2
41.75, 2.163, 38, 1 1 -3
45.15, 2.008, 34, 3 1 -1
51.81, 1.765, 24, 3 1 -3
55.71, 1.650, 18, 2 2 -2

Atomic structure:
Cell: 6.979 3.978 7.754 Å, 90.00 107.50 90.00°
Space group P2/m (No. 10)
Inequivalent atoms, fractional coordinates:
Pm: 0.000 0.000 0.000 x1
Tl: 0.000 0.500 0.500 x1
Tl: 0.500 0.000 0.500 x1
Ge: 0.500 0.500 0.000 x1
S: 0.253 0.500 0.199 x2
S: 0.284 0.000 0.806 x2

=====

# 2
For TePt3, DFT lattice parameters and positions (PBE) gives the simulated XRD peak list in this record (Cu Kα, 1.54184 Å).
Lines closer than 0.1° are merged.

The 10 most intense peaks (2θ = 5–70°), low angle first:
2θ/deg, d/Å, intensity, h k l
15.21, 5.826, 5, 1 1 0
37.66, 2.388, 100, 2 2 1
40.75, 2.214, 4, 1 3 1
43.38, 2.086, 18, 0 0 2
43.79, 2.067, 14, 0 4 0
44.13, 2.052, 17, 4 0 0
51.94, 1.761, 2, 3 3 1
63.34, 1.468, 10, 0 4 2
63.60, 1.463, 11, 4 0 2
63.92, 1.456, 9, 4 4 0

Atomic structure:
Cell: 8.209 8.269 4.171 Å, 90.00 90.00 90.00°
Space group Cmcm (No. 63)
Inequivalent atoms, fractional coordinates:
Te: 0.000 0.164 0.250 x4
Pt: 0.000 0.380 0.750 x4
Pt: 0.248 0.119 0.750 x8

=====

# 3
For PmZn2GaNi2, DFT lattice parameters and positions (PBE) gives the simulated XRD peak list in this record (Cu Kα, 1.54184 Å).
Lines closer than 0.1° are merged.

The 10 most intense peaks (2θ = 5–70°), low angle first:
2θ/deg, d/Å, intensity, h k l
20.18, 4.401, 11, 1 0 0
25.66, 3.471, 11, 1 0 1
28.68, 3.112, 43, 1 1 0
31.70, 2.823, 13, 0 0 2
32.86, 2.726, 47, 1 1 1
37.87, 2.376, 100, 1 0 2
41.01, 2.201, 74, 2 0 0
52.74, 1.736, 12, 2 0 2
57.04, 1.615, 59, 2 1 2
59.39, 1.556, 24, 2 2 0

Atomic structure:
Cell: 4.401 4.401 5.645 Å, 90.00 90.00 90.00°
Space group P4/mmm (No. 123)
Inequivalent atoms, fractional coordinates:
Pm: 0.000 0.000 0.000 x1
Zn: 0.500 0.500 0.248 x2
Ga: 0.000 0.000 0.500 x1
Ni: 0.000 0.500 0.500 x2

=====

# 4
For RbGe3P, DFT lattice parameters and positions (PBE) gives the simulated XRD peak list in this record (Cu Kα, 1.54184 Å).
Lines closer than 0.1° are merged.

The 10 most intense peaks (2θ = 5–70°), low angle first:
2θ/deg, d/Å, intensity, h k l
24.28, 3.666, 56, 1 1 -2
25.02, 3.558, 31, 0 2 1
26.22, 3.399, 100, 1 2 -1
30.10, 2.969, 36, 1 2 0
33.27, 2.693, 31, 2 0 -2
34.03, 2.635, 26, 0 3 1
35.30, 2.543, 61, 1 1 1
35.41, 2.535, 61, 1 1 -3
46.24, 1.963, 24, 2 1 -4
55.08, 1.667, 23, 1 5 -1

Atomic structure:
Cell: 5.385 8.765 8.118 Å, 90.00 131.34 90.00°
Space group Pc (No. 7)
Inequivalent atoms, fractional coordinates:
Rb: 0.000 0.089 0.000 x2
- - -
_Done_
LiFePO4: theoretical XRD peak list (Cu Ka), based on a DFT-relaxed cell (GGA+U, the Materials Project).

Largest 10 diffraction maxima, in order of rising 2θ, 2θ from 10° to 90°:
(hkl)  2θ/deg  d_spacing  I (rel.)
2 0 0  16.98  5.222  33
1 0 1  20.55  4.321  60
1 1 1  25.28  3.523  91
0 2 0  29.33  3.045  77
3 0 1  31.88  2.807  30
3 1 1  35.20  2.549  100
1 2 1  36.08  2.489  30
4 1 0  37.48  2.400  22
2 2 2  51.89  1.762  36
3 3 1  55.89  1.645  24

Crystal structure
```
data_LiFePO4
_chemical_formula_sum 'Li4 Fe4 P4 O16'
_cell_length_a 10.4437
_cell_length_b 6.0902
_cell_length_c 4.7464
_cell_angle_alpha 90.00
_cell_angle_beta 90.00
_cell_angle_gamma 90.00
_symmetry_space_group_name_H-M 'P n m a'
_symmetry_Int_Tables_number 62
_symmetry_space_group_name_Hall '-P 2ac 2n'
loop_
_atom_site_label
_atom_site_type_symbol
_atom_site_fract_x
_atom_site_fract_y
_atom_site_fract_z
_atom_site_occupancy
Li1 Li 0.0000 0.0000 0.0000 1
Fe1 Fe 0.2180 0.2500 0.4752 1
P1 P 0.0948 0.7500 0.4178 1
O1 O 0.0429 0.2500 0.7069 1
O2 O 0.0967 0.7500 0.7419 1
O3 O 0.1655 0.5470 0.2845 1
```


# 1
For PmTl2GeS4, DFT lattice parameters and positions (PBE) gives the simulated XRD peak list in this record (Cu Kα, 1.54184 Å).
Lines closer than 0.1° are merged.

The 10 most intense peaks (2θ = 5–70°), low angle first:
2θ/deg, d/Å, intensity, h k l
24.07, 3.698, 43, 0 0 2
26.79, 3.328, 30, 2 0 0
27.02, 3.300, 58, 1 1 -1
30.25, 2.954, 50, 2 0 -2
30.48, 2.933, 100, 1 1 1
41.61, 2.170, 19, 2 0 2
41.75, 2.163, 38, 1 1 -3
45.15, 2.008, 34, 3 1 -1
51.81, 1.765, 24, 3 1 -3
55.71, 1.650, 18, 2 2 -2

Atomic structure:
Cell: 6.979 3.978 7.754 Å, 90.00 107.50 90.00°
Space group P2/m (No. 10)
Inequivalent atoms, fractional coordinates:
Pm: 0.000 0.000 0.000 x1
Tl: 0.000 0.500 0.500 x1
Tl: 0.500 0.000 0.500 x1
Ge: 0.500 0.500 0.000 x1
S: 0.253 0.500 0.199 x2
S: 0.284 0.000 0.806 x2

=====

# 2
For TePt3, DFT lattice parameters and positions (PBE) gives the simulated XRD peak list in this record (Cu Kα, 1.54184 Å).
Lines closer than 0.1° are merged.

The 10 most intense peaks (2θ = 5–70°), low angle first:
2θ/deg, d/Å, intensity, h k l
15.21, 5.826, 5, 1 1 0
37.66, 2.388, 100, 2 2 1
40.75, 2.214, 4, 1 3 1
43.38, 2.086, 18, 0 0 2
43.79, 2.067, 14, 0 4 0
44.13, 2.052, 17, 4 0 0
51.94, 1.761, 2, 3 3 1
63.34, 1.468, 10, 0 4 2
63.60, 1.463, 11, 4 0 2
63.92, 1.456, 9, 4 4 0

Atomic structure:
Cell: 8.209 8.269 4.171 Å, 90.00 90.00 90.00°
Space group Cmcm (No. 63)
Inequivalent atoms, fractional coordinates:
Te: 0.000 0.164 0.250 x4
Pt: 0.000 0.380 0.750 x4
Pt: 0.248 0.119 0.750 x8

=====

# 3
For PmZn2GaNi2, DFT lattice parameters and positions (PBE) gives the simulated XRD peak list in this record (Cu Kα, 1.54184 Å).
Lines closer than 0.1° are merged.

The 10 most intense peaks (2θ = 5–70°), low angle first:
2θ/deg, d/Å, intensity, h k l
20.18, 4.401, 11, 1 0 0
25.66, 3.471, 11, 1 0 1
28.68, 3.112, 43, 1 1 0
31.70, 2.823, 13, 0 0 2
32.86, 2.726, 47, 1 1 1
37.87, 2.376, 100, 1 0 2
41.01, 2.201, 74, 2 0 0
52.74, 1.736, 12, 2 0 2
57.04, 1.615, 59, 2 1 2
59.39, 1.556, 24, 2 2 0

Atomic structure:
Cell: 4.401 4.401 5.645 Å, 90.00 90.00 90.00°
Space group P4/mmm (No. 123)
Inequivalent atoms, fractional coordinates:
Pm: 0.000 0.000 0.000 x1
Zn: 0.500 0.500 0.248 x2
Ga: 0.000 0.000 0.500 x1
Ni: 0.000 0.500 0.500 x2

=====

# 4
For RbGe3P, DFT lattice parameters and positions (PBE) gives the simulated XRD peak list in this record (Cu Kα, 1.54184 Å).
Lines closer than 0.1° are merged.

The 10 most intense peaks (2θ = 5–70°), low angle first:
2θ/deg, d/Å, intensity, h k l
24.28, 3.666, 56, 1 1 -2
25.02, 3.558, 31, 0 2 1
26.22, 3.399, 100, 1 2 -1
30.10, 2.969, 36, 1 2 0
33.27, 2.693, 31, 2 0 -2
34.03, 2.635, 26, 0 3 1
35.30, 2.543, 61, 1 1 1
35.41, 2.535, 61, 1 1 -3
46.24, 1.963, 24, 2 1 -4
55.08, 1.667, 23, 1 5 -1

Atomic structure:
Cell: 5.385 8.765 8.118 Å, 90.00 131.34 90.00°
Space group Pc (No. 7)
Inequivalent atoms, fractional coordinates:
Rb: 0.000 0.089 0.000 x2